== Given ==
┌──
Record 1
DFT (ωB97M-V with the def2-TZVPD basis set) results for a molecular structure, C3H3InLiO3 at a distorted geometry.

Output
Orbital gap (alpha / beta), eV: 10.37 / 7.77
Multiplicity: 2
Charge: +2
Energy relative to the best compared isomer or geometry (same formula, charge and spin), kcal per mole: 0.0

Cartesian coordinates (Å):
C -2.686 -0.386 -0.233
C -2.100 -1.577 0.394
O -2.817 -1.682 -0.843
C -1.823 0.584 -1.110
O -1.333 0.114 -2.161
O -1.581 1.690 -0.607
Li -1.753 2.716 0.871
H -3.639 0.008 0.126
H -2.614 -2.060 1.225
H -1.026 -1.760 0.304
In -1.862 -1.750 -2.686

Force components x, y, z for each atom (eV/Å):
C -0.055 0.975 -0.619
C 0.792 0.032 0.946
O -1.343 -0.742 0.026
C -0.310 0.745 3.536
O 0.693 0.623 -1.227
O -0.428 -0.991 -0.714
Li 0.146 0.432 -0.017
H 0.264 -0.089 -0.054
H 0.148 0.154 -0.185
H -0.250 0.088 0.150
In 0.342 -1.227 -1.843

=====

Record 2
DFT (ωB97M-V with the def2-TZVPD basis set) results for a molecular structure, C3H3InO2 at a distorted geometry.

Output
Orbital gap (alpha / beta), eV: 9.56 / 7.03
Charge: +2
Energy relative to the best compared isomer or geometry (same formula, charge and spin), kcal per mole: 96.1

Cartesian coordinates (Å):
C 0.572 -1.676 1.543
C 1.055 -0.438 0.846
H 0.930 -2.552 0.968
H 1.978 -0.819 0.350
H 1.180 0.496 1.408
O -0.823 -1.341 0.122
C -0.070 -0.387 -0.166
In 0.228 1.884 -1.910
O -0.390 0.620 -0.868

Force components x, y, z for each atom (eV/Å):
C -0.793 0.219 -3.659
C 1.085 0.473 -0.359
H -0.554 -0.710 1.507
H 0.068 0.847 0.469
H 0.180 -0.339 -0.051
O 0.771 0.218 -0.074
C -0.420 -2.068 4.293
In 2.474 5.952 -4.979
O -2.812 -4.592 2.852

=====

Record 3
DFT (ωB97M-V with the def2-TZVPD basis set) results for a molecular structure, C3H3LaO2 at a distorted geometry.

Output
Orbital gap (alpha / beta), eV: 5.35 / 5.35
Multiplicity: 2
Charge: +1
Energy relative to the best compared isomer or geometry (same formula, charge and spin), kcal per mole: 0.0

Cartesian coordinates (Å):
C 2.006 2.094 -0.922
C 0.966 1.022 -0.797
H 1.148 0.072 -1.322
H 3.000 2.002 -1.355
H 0.552 0.879 0.213
O 0.498 3.888 -2.271
C 0.982 2.854 -1.727
O 0.019 1.809 -1.585
La -1.808 3.349 -2.982

Force components x, y, z for each atom (eV/Å):
C -2.203 2.740 -3.434
C 0.400 -0.777 -0.066
H -0.026 0.205 0.387
H 0.083 0.073 0.858
H 0.115 -0.075 -0.416
O -0.816 0.305 -0.875
C 1.730 -3.137 2.780
O -1.614 0.919 -0.334
La 2.331 -0.254 1.101

=====

Record 4
DFT (ωB97M-V with the def2-TZVPD basis set) results for a molecular structure, C3H3LiLuO4 at a distorted geometry.

Output
Orbital gap (alpha / beta), eV: 7.57 / 7.86
Multiplicity: 2
Charge: +2
Energy relative to the best compared isomer or geometry (same formula, charge and spin), kcal per mole: 0.0

Cartesian coordinates (Å):
C -2.343 0.960 0.412
C -1.509 0.748 -0.818
O -0.172 0.390 -0.557
C 0.148 -0.934 -0.292
O -0.093 -1.548 0.743
O 1.067 -1.285 -1.054
O -1.982 0.699 1.540
H -3.278 1.526 0.233
H -1.445 1.692 -1.374
H -2.024 -0.019 -1.422
Lu 2.353 0.806 -0.905
Li -1.168 -0.949 2.141

Force components x, y, z for each atom (eV/Å):
C 0.057 1.222 0.562
C -1.021 0.350 -0.260
O 0.395 0.641 0.407
C 2.159 -1.545 2.028
O -2.064 1.055 -0.276
O 2.728 1.534 -1.702
O -0.097 -0.538 -0.456
H 0.000 -0.413 0.042
H -0.407 -0.272 0.022
H 0.274 0.276 -0.148
Lu -1.951 -2.247 -0.448
Li -0.073 -0.064 0.229

=====

Record 5
DFT (ωB97M-V with the def2-TZVPD basis set) results for a molecular structure, C3H3LiO3Pt at a distorted geometry.

Output
Orbital gap (alpha / beta), eV: 5.00 / 6.17
Multiplicity: 3

Cartesian coordinates (Å):
O -0.231 -1.202 -1.120
C -0.287 -0.373 -2.018
C -0.051 1.013 -1.652
Li -0.849 -2.776 -0.901
Pt -0.152 0.182 0.068
H 0.656 -0.279 -2.483
H 0.379 1.700 -2.374
O -0.417 1.151 2.530
C 0.175 0.109 1.934
O 0.898 -0.631 2.572
H -0.121 1.105 3.444

Force components x, y, z for each atom (eV/Å):
O -2.203 -11.825 0.670
C 1.595 7.866 -6.157
C -1.744 -0.596 -2.080
Li -0.017 -0.060 0.251
Pt 0.609 5.090 6.515
H 2.008 -0.914 -2.855
└──

== To do ==
Next, write out everything earlier on verbatim.

== Solution ==
Record 1
DFT (ωB97M-V with the def2-TZVPD basis set) results for a molecular structure, C3H3InLiO3 at a distorted geometry.

Output
Orbital gap (alpha / beta), eV: 10.37 / 7.77
Multiplicity: 2
Charge: +2
Energy relative to the best compared isomer or geometry (same formula, charge and spin), kcal per mole: 0.0

Cartesian coordinates (Å):
C -2.686 -0.386 -0.233
C -2.100 -1.577 0.394
O -2.817 -1.682 -0.843
C -1.823 0.584 -1.110
O -1.333 0.114 -2.161
O -1.581 1.690 -0.607
Li -1.753 2.716 0.871
H -3.639 0.008 0.126
H -2.614 -2.060 1.225
H -1.026 -1.760 0.304
In -1.862 -1.750 -2.686

Force components x, y, z for each atom (eV/Å):
C -0.055 0.975 -0.619
C 0.792 0.032 0.946
O -1.343 -0.742 0.026
C -0.310 0.745 3.536
O 0.693 0.623 -1.227
O -0.428 -0.991 -0.714
Li 0.146 0.432 -0.017
H 0.264 -0.089 -0.054
H 0.148 0.154 -0.185
H -0.250 0.088 0.150
In 0.342 -1.227 -1.843

=====

Record 2
DFT (ωB97M-V with the def2-TZVPD basis set) results for a molecular structure, C3H3InO2 at a distorted geometry.

Output
Orbital gap (alpha / beta), eV: 9.56 / 7.03
Charge: +2
Energy relative to the best compared isomer or geometry (same formula, charge and spin), kcal per mole: 96.1

Cartesian coordinates (Å):
C 0.572 -1.676 1.543
C 1.055 -0.438 0.846
H 0.930 -2.552 0.968
H 1.978 -0.819 0.350
H 1.180 0.496 1.408
O -0.823 -1.341 0.122
C -0.070 -0.387 -0.166
In 0.228 1.884 -1.910
O -0.390 0.620 -0.868

Force components x, y, z for each atom (eV/Å):
C -0.793 0.219 -3.659
C 1.085 0.473 -0.359
H -0.554 -0.710 1.507
H 0.068 0.847 0.469
H 0.180 -0.339 -0.051
O 0.771 0.218 -0.074
C -0.420 -2.068 4.293
In 2.474 5.952 -4.979
O -2.812 -4.592 2.852

=====

Record 3
DFT (ωB97M-V with the def2-TZVPD basis set) results for a molecular structure, C3H3LaO2 at a distorted geometry.

Output
Orbital gap (alpha / beta), eV: 5.35 / 5.35
Multiplicity: 2
Charge: +1
Energy relative to the best compared isomer or geometry (same formula, charge and spin), kcal per mole: 0.0

Cartesian coordinates (Å):
C 2.006 2.094 -0.922
C 0.966 1.022 -0.797
H 1.148 0.072 -1.322
H 3.000 2.002 -1.355
H 0.552 0.879 0.213
O 0.498 3.888 -2.271
C 0.982 2.854 -1.727
O 0.019 1.809 -1.585
La -1.808 3.349 -2.982

Force components x, y, z for each atom (eV/Å):
C -2.203 2.740 -3.434
C 0.400 -0.777 -0.066
H -0.026 0.205 0.387
H 0.083 0.073 0.858
H 0.115 -0.075 -0.416
O -0.816 0.305 -0.875
C 1.730 -3.137 2.780
O -1.614 0.919 -0.334
La 2.331 -0.254 1.101

=====

Record 4
DFT (ωB97M-V with the def2-TZVPD basis set) results for a molecular structure, C3H3LiLuO4 at a distorted geometry.

Output
Orbital gap (alpha / beta), eV: 7.57 / 7.86
Multiplicity: 2
Charge: +2
Energy relative to the best compared isomer or geometry (same formula, charge and spin), kcal per mole: 0.0

Cartesian coordinates (Å):
C -2.343 0.960 0.412
C -1.509 0.748 -0.818
O -0.172 0.390 -0.557
C 0.148 -0.934 -0.292
O -0.093 -1.548 0.743
O 1.067 -1.285 -1.054
O -1.982 0.699 1.540
H -3.278 1.526 0.233
H -1.445 1.692 -1.374
H -2.024 -0.019 -1.422
Lu 2.353 0.806 -0.905
Li -1.168 -0.949 2.141

Force components x, y, z for each atom (eV/Å):
C 0.057 1.222 0.562
C -1.021 0.350 -0.260
O 0.395 0.641 0.407
C 2.159 -1.545 2.028
O -2.064 1.055 -0.276
O 2.728 1.534 -1.702
O -0.097 -0.538 -0.456
H 0.000 -0.413 0.042
H -0.407 -0.272 0.022
H 0.274 0.276 -0.148
Lu -1.951 -2.247 -0.448
Li -0.073 -0.064 0.229

=====

Record 5
DFT (ωB97M-V with the def2-TZVPD basis set) results for a molecular structure, C3H3LiO3Pt at a distorted geometry.

Output
Orbital gap (alpha / beta), eV: 5.00 / 6.17
Multiplicity: 3

Cartesian coordinates (Å):
O -0.231 -1.202 -1.120
C -0.287 -0.373 -2.018
C -0.051 1.013 -1.652
Li -0.849 -2.776 -0.901
Pt -0.152 0.182 0.068
H 0.656 -0.279 -2.483
H 0.379 1.700 -2.374
O -0.417 1.151 2.530
C 0.175 0.109 1.934
O 0.898 -0.631 2.572
H -0.121 1.105 3.444

Force components x, y, z for each atom (eV/Å):
O -2.203 -11.825 0.670
C 1.595 7.866 -6.157
C -1.744 -0.596 -2.080
Li -0.017 -0.060 0.251
Pt 0.609 5.090 6.515
H 2.008 -0.914 -2.855